**Excerpt:**
# 1
For SrLi2Pr2Si2, DFT lattice parameters and positions (GGA-PBE) gives the calculated powder diffraction line list in this record (Cu Kα (weighted mean of Kα1 and Kα2)).
Kinematic intensities with the Lorentz-polarization factor, no thermal factor.

Cell and atoms:
Unit cell a=4.6687 b=4.6687 c=28.4766 alpha=90.00 beta=90.00 gamma=120.00
Space group R-3m (No. 166, hexagonal axes)
Symmetry-distinct sites (fractional):
Sr: 0.0000 0.0000 0.0000 (multiplicity 3)
Li: 0.0000 0.0000 0.4084 (multiplicity 6)
Pr: 0.0000 0.0000 0.1289 (multiplicity 6)
Si: 0.0000 0.0000 0.2535 (multiplicity 6)

The 10 most intense peaks (5° ≤ 2θ ≤ 70°), low angle first:
| (hkl) | two_theta | intensity |
| --- | --- | --- |
| 0 0 3 | 9.3 | 43 |
| 1 0 1 | 22.2 | 100 |
| 1 0 4 | 25.3 | 19 |
| 1 0 7 | 31.2 | 64 |
| 0 1 8 | 33.5 | 83 |
| 1 1 0 | 38.6 | 61 |
| 1 1 9 | 48.5 | 17 |
| 2 0 8 | 52.0 | 24 |
| 1 1 15 | 63.1 | 21 |
| 1 2 8 | 66.6 | 24 |

***

# 2
For Ac2Ag2Pb, DFT lattice parameters and positions (GGA-PBE) gives the calculated powder diffraction line list in this record (Cu Kα (weighted mean of Kα1 and Kα2)).
Kinematic intensities with the Lorentz-polarization factor, no thermal factor.

Cell and atoms:
Unit cell a=4.8483 b=15.8708 c=3.9567 alpha=90.00 beta=90.00 gamma=90.00
Space group Cmmm (No. 65)
Symmetry-distinct sites (fractional):
Ac: 0.0000 0.1252 0.0000 (multiplicity 4)
Ag: 0.0000 0.2980 0.5000 (multiplicity 4)
Pb: 0.0000 0.5000 0.5000 (multiplicity 2)

The 10 most intense peaks (5° ≤ 2θ ≤ 70°), low angle first:
| (hkl) | two_theta | intensity |
| --- | --- | --- |
| 1 3 0 | 24.9 | 26 |
| 1 1 1 | 29.7 | 100 |
| 0 4 1 | 31.9 | 64 |
| 1 5 0 | 33.8 | 75 |
| 2 0 0 | 37.1 | 31 |
| 0 0 2 | 45.9 | 17 |
| 2 4 1 | 49.7 | 38 |
| 1 5 2 | 58.1 | 26 |
| 2 0 2 | 60.4 | 15 |
| 1 9 1 | 60.6 | 15 |

***

# 3
For Ac2NpCuO6, DFT lattice parameters and positions (GGA-PBE) gives the calculated powder diffraction line list in this record (Cu Kα (weighted mean of Kα1 and Kα2)).
Kinematic intensities with the Lorentz-polarization factor, no thermal factor.

Cell and atoms:
Unit cell a=10.7095 b=5.7549 c=6.0147 alpha=90.00 beta=122.05 gamma=90.00
Space group C2/m (No. 12)
Symmetry-distinct sites (fractional):
Ac: 0.2416 0.0000 0.2144 (multiplicity 4)
Np: 0.0000 0.0000 0.5000 (multiplicity 2)
Cu: 0.0000 0.5000 0.0000 (multiplicity 2)
O: 0.0700 0.2503 0.8196 (multiplicity 8)
O: 0.2200 0.0000 0.6024 (multiplicity 4)

The 10 most intense peaks (5° ≤ 2θ ≤ 70°), low angle first:
| (hkl) | two_theta | intensity |
| --- | --- | --- |
| 1 1 0 | 18.3 | 21 |
| 1 1 1 | 28.8 | 100 |
| 3 1 -1 | 29.5 | 93 |
| 2 0 -2 | 29.7 | 38 |
| 0 2 0 | 31.1 | 41 |
| 4 0 0 | 39.7 | 23 |
| 2 2 -2 | 43.5 | 40 |
| 6 0 -2 | 51.3 | 36 |
| 5 1 -3 | 53.1 | 19 |
| 1 3 1 | 53.9 | 22 |

***

# 4
For PrDyTl4, DFT lattice parameters and positions (GGA-PBE) gives the calculated powder diffraction line list in this record (Cu Kα (weighted mean of Kα1 and Kα2)).
Kinematic intensities with the Lorentz-polarization factor, no thermal factor.

Cell and atoms:
Unit cell a=3.8694 b=5.0917 c=8.7644 alpha=90.00 beta=90.06 gamma=90.00
Space group Pm (No. 6)
Symmetry-distinct sites (fractional):
Pr: 0.0000 0.0000 0.0000 (multiplicity 1)
Dy: 0.0009 0.5000 0.4992 (multiplicity 1)
Tl: 0.3506 0.0000 0.6617 (multiplicity 1)
Tl: 0.3772 0.5000 0.1710 (multiplicity 1)
Tl: 0.6252 0.5000 0.8276 (multiplicity 1)
Tl: 0.6485 0.0000 0.3383 (multiplicity 1)

The 10 most intense peaks (5° ≤ 2θ ≤ 70°), low angle first:
| (hkl) | two_theta | intensity |
| --- | --- | --- |

**Exercise:**
Please set down all of the entries further above unchanged.

**Done:**
# 1
For SrLi2Pr2Si2, DFT lattice parameters and positions (GGA-PBE) gives the calculated powder diffraction line list in this record (Cu Kα (weighted mean of Kα1 and Kα2)).
Kinematic intensities with the Lorentz-polarization factor, no thermal factor.

Cell and atoms:
Unit cell a=4.6687 b=4.6687 c=28.4766 alpha=90.00 beta=90.00 gamma=120.00
Space group R-3m (No. 166, hexagonal axes)
Symmetry-distinct sites (fractional):
Sr: 0.0000 0.0000 0.0000 (multiplicity 3)
Li: 0.0000 0.0000 0.4084 (multiplicity 6)
Pr: 0.0000 0.0000 0.1289 (multiplicity 6)
Si: 0.0000 0.0000 0.2535 (multiplicity 6)

The 10 most intense peaks (5° ≤ 2θ ≤ 70°), low angle first:
| (hkl) | two_theta | intensity |
| --- | --- | --- |
| 0 0 3 | 9.3 | 43 |
| 1 0 1 | 22.2 | 100 |
| 1 0 4 | 25.3 | 19 |
| 1 0 7 | 31.2 | 64 |
| 0 1 8 | 33.5 | 83 |
| 1 1 0 | 38.6 | 61 |
| 1 1 9 | 48.5 | 17 |
| 2 0 8 | 52.0 | 24 |
| 1 1 15 | 63.1 | 21 |
| 1 2 8 | 66.6 | 24 |

***

# 2
For Ac2Ag2Pb, DFT lattice parameters and positions (GGA-PBE) gives the calculated powder diffraction line list in this record (Cu Kα (weighted mean of Kα1 and Kα2)).
Kinematic intensities with the Lorentz-polarization factor, no thermal factor.

Cell and atoms:
Unit cell a=4.8483 b=15.8708 c=3.9567 alpha=90.00 beta=90.00 gamma=90.00
Space group Cmmm (No. 65)
Symmetry-distinct sites (fractional):
Ac: 0.0000 0.1252 0.0000 (multiplicity 4)
Ag: 0.0000 0.2980 0.5000 (multiplicity 4)
Pb: 0.0000 0.5000 0.5000 (multiplicity 2)

The 10 most intense peaks (5° ≤ 2θ ≤ 70°), low angle first:
| (hkl) | two_theta | intensity |
| --- | --- | --- |
| 1 3 0 | 24.9 | 26 |
| 1 1 1 | 29.7 | 100 |
| 0 4 1 | 31.9 | 64 |
| 1 5 0 | 33.8 | 75 |
| 2 0 0 | 37.1 | 31 |
| 0 0 2 | 45.9 | 17 |
| 2 4 1 | 49.7 | 38 |
| 1 5 2 | 58.1 | 26 |
| 2 0 2 | 60.4 | 15 |
| 1 9 1 | 60.6 | 15 |

***

# 3
For Ac2NpCuO6, DFT lattice parameters and positions (GGA-PBE) gives the calculated powder diffraction line list in this record (Cu Kα (weighted mean of Kα1 and Kα2)).
Kinematic intensities with the Lorentz-polarization factor, no thermal factor.

Cell and atoms:
Unit cell a=10.7095 b=5.7549 c=6.0147 alpha=90.00 beta=122.05 gamma=90.00
Space group C2/m (No. 12)
Symmetry-distinct sites (fractional):
Ac: 0.2416 0.0000 0.2144 (multiplicity 4)
Np: 0.0000 0.0000 0.5000 (multiplicity 2)
Cu: 0.0000 0.5000 0.0000 (multiplicity 2)
O: 0.0700 0.2503 0.8196 (multiplicity 8)
O: 0.2200 0.0000 0.6024 (multiplicity 4)

The 10 most intense peaks (5° ≤ 2θ ≤ 70°), low angle first:
| (hkl) | two_theta | intensity |
| --- | --- | --- |
| 1 1 0 | 18.3 | 21 |
| 1 1 1 | 28.8 | 100 |
| 3 1 -1 | 29.5 | 93 |
| 2 0 -2 | 29.7 | 38 |
| 0 2 0 | 31.1 | 41 |
| 4 0 0 | 39.7 | 23 |
| 2 2 -2 | 43.5 | 40 |
| 6 0 -2 | 51.3 | 36 |
| 5 1 -3 | 53.1 | 19 |
| 1 3 1 | 53.9 | 22 |

***

# 4
For PrDyTl4, DFT lattice parameters and positions (GGA-PBE) gives the calculated powder diffraction line list in this record (Cu Kα (weighted mean of Kα1 and Kα2)).
Kinematic intensities with the Lorentz-polarization factor, no thermal factor.

Cell and atoms:
Unit cell a=3.8694 b=5.0917 c=8.7644 alpha=90.00 beta=90.06 gamma=90.00
Space group Pm (No. 6)
Symmetry-distinct sites (fractional):
Pr: 0.0000 0.0000 0.0000 (multiplicity 1)
Dy: 0.0009 0.5000 0.4992 (multiplicity 1)
Tl: 0.3506 0.0000 0.6617 (multiplicity 1)
Tl: 0.3772 0.5000 0.1710 (multiplicity 1)
Tl: 0.6252 0.5000 0.8276 (multiplicity 1)
Tl: 0.6485 0.0000 0.3383 (multiplicity 1)

The 10 most intense peaks (5° ≤ 2θ ≤ 70°), low angle first:
| (hkl) | two_theta | intensity |
| --- | --- | --- |